The Dakota Access Pipeline; A David & Goliath, Good vs. Evil Story

As the eve of the 2016 US presidential election draws nearer, and the world inches that much closer to the edge of their seats, wondering who the winner will be to claim the world’s most powerful seat for committing acts of good or evil, another David & Goliath story unfolds. In the crosshairs are the Dakota Access Pipeline and Rosebud Sioux Nation in South Dakota.

It’s yet one more spin on the same story that has been told for years between ‘The People,’ who seek to do good for the planet, and ‘The Powerful’ who desire to pursue the same pathways of evil that continue to destroy the lives of the people and earth alike.

This colossal struggle around the extraction of the earth’s diminishing natural resources continues to mount ever since the genesis of the original Keystone XL pipeline proposal. That was when the Rosebud Sioux Nation in South Dakota and other native nations first declared it “An Act of War” that violates their sovereignty and an abrogation of their treaty rights. It continued onward when the Bank of America became the lead financier of the lofty-sounding Plains All American Red River II Pipeline That project violated rights of the native peoples’ of Oklahoma.

This undeclared war continues as Canada’s controversial Kinder Morgan tar sands pipeline and export terminal facility proposal also now seeks to plow new pipelines and shipping lanes through the pristine wilds of Canada and its Salish Sea. These pipelines would transport some 890,000 barrels of Alberta tar sand liquid bitumen every day through the lives of indigenous, non-indigenous peoples and the natural world.

The Dakota Access Pipeline; A David & Goliath, Good vs. Evil Story The Dakota Access Pipeline; A David & Goliath, Good vs. Evil Story Kinder Morgan, the largest pipeline company in the U.S., was founded by Richard Kinder, who took over from Jeffrey Skilling, CEO of Enron Corp who is now serving 24 years in prison for fraud and insider trading. Called “the luckiest ex-Enron employee” by the Wall Street Journal, Kinder is the 110th richest man alive with a net worth of 8.2 billion.

The real question is this: As this proposal makes Richard Kinder even that much richer, will it, in the end, also make the lives of all the people and the earth’s natural world and its denizens an even much more richer Kind-er place? At this writing, Kinder Morgan’s proposal awaits the imminent approval of PM Trudeau and his Liberal Government.

Singer, songwriter, activist Neil Young – of Crosby, Stills, Nash & Young fame – who wrote the song Who’s Gonna Stand Up? to protest the Keystone XL Pipeline in 2014, has composed another brilliant artistic music-video Mother Earth that speaks to Canada’s pipeline proposals and its repeated violations of First Nation peoples treaties and sovereign rights.

Neil Young’s Mother Earth Music Video

If or when the Canadian government finally does give the highly controversial Kinder Morgan pipeline the green light to proceed, there will be another explosive confrontation with First Nation peoples, environmental groups and the citizenry. This confrontation will no doubt lead to the same kind of confrontational debacle that is currently unfolding in North Dakota ever since the US Army Corp of Engineers approved the construction of the Dakota Access Pipeline (DAPL). If that proposal is also approved by the new US President, and the current “voluntary pause” is lifted, it will plow through 1,168 miles of Indian tribal lands, farming communities, endangered nature areas and wildlife habitats, stretching from the Bakken oil fields in North Dakota through to the Gulf of Mexico, as it transports up to 650,000 plus barrels of crude fracked oil per day.

On the David side of this new-old story of struggle are the Standing Rock Sioux people. They oppose the DAPL’s incursions into the sacred lands and waters of their homelands. The basis of their opposition is that it violates their treaty rights as spelled out in the 1851 Treaty of Traverse de Sioux and 1861 Treaty of Fort Laramie.

Pipeline of Corporate Greed

The Sioux are joined by Some 200 Native American Tribes and Nations in Canada and the United States alone, not to mention the support of indigenous nations throughout South America, Africa, Asia and Australia. And while powerful corporate Union and Labor leaders, like AFL-CIO Union president Richard Trumka, endorse the Dakota Access Pipeline on the supposition that it will stimulate employment and a healthier economy, there are a host of ordinary AFL-CIO minority union workers – like the Asian Pacific American Labor Alliance, Coalition of Black Trade Unionists, Coalition of Labor Union Women, and Labor Council for Latin American Advancement – who stand in solidarity with the Sioux.

The Coalition refers to the Sioux as “our Native American kinfolk, who are one of the most marginalized and disenfranchised groups in our nation.” Naming the proposal, “A Pipeline of Corporate Greed,” this widespread coalition challenges the American Labor Movement to better engage native peoples and other marginalized people in the labor movement as a whole. One could characterize their collective resistance as an essential plank in the Our Revolution Movement that originally began with the Bernie Sanders run for the U.S. presidency.

On the Goliath side of the story is Energy Transfer Partners, a huge Texas-based corporate conglomerate involved in the extraction of natural gas, gas liquids (NGL’s), crude oil and refined petroleum products from the earth that, if truth be told, should instead be titled the Energy Suckers Partners; because its primary investors are among Wall Street’s largest investment firms and financiers. They represent a vast array of banking institutions in Canada, U.S., France, UK, Scotland, Germany, Italy and Japan, who are, themselves, energy suckers who continue in every conceivable way to suck the natural resources and life force out of all the people and the earth.

Struggle Between The People and The Powerful

This never-ending struggle between ‘The People’ & ‘The Powerful’ rages unabated in every sector of world society, pitting tiny indigenous nations, workers unions, environmental groups, celebrities and alternative press against the world’s mightiest giants in the corporate-mining-political-financial mainstream media.

The list of environmental groups throughout North America that support the Standing Rock Sioux’s defense of their homelands is an impressive one. They include the Indigenous Environmental Network; Sierra Club, Greenpeace; Honor the Earth; Bold Alliance;; MN350; Rainforest Action Network; Center for Biological Diversity; Oil Change International; 350 Madison; Stand.Earth; Family Farm Defenders; Save Our Illinois Land; Power Shift Network; Rising Tide North America, Minnesota Public Interest Research Group; Midwest Environmental Advocates; For Love of Water; Wild Earth Guardians, Friends of the Earth; International Forum on Globalization; US Climate Plan; Iowa Citizens for Community Improvement; Earthworks; Water Keeper Alliance; Environmental America and the Science and Environmental Health Network.

Widespread coverage of this David & Goliath story by the world’s alternative news networks has been led by the investigative reporting of Democracy Now which continues to report what the mainstream corporate press refuses to print or air. Gradually, in spite of this virtual mainstream news black-out, this story continues to seep into every corner of the earth and spark a mounting ground-swell among various grass root movements.

Archaeologists & Museums has now denounced the destruction of the Standing Rock Sioux’s burial grounds by the Dakota Access Pipeline and created a sign-on letter via [email protected] which invites the world’s archaeologists, anthropologists, historians and museum workers to add their names.

Like Neil Young’s earlier moving Mother Earth music video, Young has again created yet another equally emotional, thought-provoking music video called Indian Givers that brilliantly summarizes, with news footage and lyrics, the issues behind the Standing Rock Sioux’s struggles.

Young sings, “There’s a battle raging on sacred lands/our brothers and sisters have to take a stand against us now for what we all been doing/On the sacred land there’s a battle brewing. I wish somebody would share the news and bring back the days when good are good and stand against the evil ways” (To listen to and see Neil Young’s music video go to: and click on the article “Neil Young Releases ‘Indian Giver’s Song & Video”).

To give further perspective to how little coverage the mainstream press in North America initially has given to this conflict, FAIR (Fairness & Accuracy in Reporting), in a Sept. 22nd report, states that according to its search of the NEXIS news database, Neil Young’s song is “actually 5 minutes, 39 seconds longer than the initial combined coverage of the controversy on the ABC and NBC networks, not counting the some 48 words read at 4 o’clock in the morning on the CBS Morning News (9/5/16).”

In spite of this virtual blackout in the mass media, many celebrities in the entertainment world have already begun to take Neil Young’s song to heart to show their support for the Sioux peoples. Counted among them are: Leonardo Di Caprio, Mark Ruffalo, Shailene Woodley, Susan Sarandon, Riley Keogh, Pharell Williams, Rosario Dawson and the cast of Justice League.

Mainstream Media Missing In Action

However, the lack of hard news reporting of the issues by the major television and newspaper networks still means that much of what thus far has gone on remains unnoticed and invisible to the general public. For instance, there is the fact that, as if it were a page taken right out of the ugly racial violence during the 1960’s civil rights movement in Selma Alabama, those who chose to stand in solidarity with the Sioux, and travelled to North Dakota to physically protest the pipeline’s construction, ended up being pepper-sprayed, bitten and bloodied by vicious guard dogs and roughed up by hired security thugs.

Democracy Now’s Amy Goodman, who broke the news story, was charged with criminal trespass for her courageous, fearless on-site reporting. Yet few in the mainstream press, either then or since, have rushed to Goodman’s defense; so much for protecting the freedom to report the truth.

Nor have the mainstream news networks pressed each presidential candidate as to where they stand on this contentious conflict.

Presidential Candidates Silent

Donald Trump has yet to directly comment on the Dakota Access Pipeline Project, though Harold Hamm, his energy advisor, Founder & CEO of Continental Resources, recently announced to his investors that fracked oil from North Dakota’s Bakken Shale Basin, destined to be transported to world markets by DAPL, anticipates huge profits once the project is completed.

Hamm, originally an outspoken supporter of the TransCanada’s Keystone XL Pipeline, shifted his support for the DAPL once he realized the northern leg of the XL was doomed. While another of Trump’s key advisors ? North Dakota Governor Jack Dalrymple, like Trump a strong advocate of Law & Order ? recently ordered armed National Guard troops to man key concrete-barrier checkpoints around the DAPL Project to guard against possible outside agitators and bolster massively-armed law enforcement security forces. That security includes the deployment or use of: MRAP’s (Mine-Resistance Ambush Protected Vehicles); LRAD’s (Long Range Acoustic Device) sound cannons; as well as guard dogs, pepper spray, tear gas and shotgun-armed police. This massive over-kill response meant to face off against Sioux men, women, children ‘Water Protectors’ and their supporters armed only with their prayers in peaceful protest.

Presidential Hillary Clinton, on the other hand, whose campaign has taken money from Wall Street’s oil and gas barons, also has refused, to date, to voice any opinion at all about the DAPL Project and its outrageous treatment of the Standing Rock Sioux and brazen violations of their treaty rights. Clinton’s silence is in harsh contrast to the lip service her party’s platform has paid to support native peoples’ tribal sovereignty, resources and sacred sites.

Gary Johnson, the Libertarian candidate, has only issued a weak, insipid statement calling upon state and tribal leaders to work together to reach an agreement to respect both the rights of private businesses, landowners and treaty rights of native peoples, but, at the same time, accuses outside forces of having latched onto the issue to further their own agendas.

Presidential Candidate Charged

On the other hand, Jill Stein, the Green Party’s US presidential candidate, and her VP running mate, Ajamu Baraka, are the only candidates to actually put their bodies on the line by participating in solidarity with the Sioux. As a result, Stein and Baraka, like Amy Goodman, also have been charged, and warrants issued for their arrest, for trespassing and committing mischievous vandalism when Stein dared to spray on a DAPL Caterpillar bulldozer blade the message “I approve this message, while Ms. Baraka sprayed the message “decolonization.

So much for the mainstream medias coverage of what should be a seminal issue as it relates to the larger issue of climate change in the 2016 US Presidential Election.

Editor Jim Naureckas concluded FAIR’S commentary on the plight of the Standing Rock Sioux people by calling for the public’s attention to Neil Young’s song ‘Indian Givers’ and its line that repeats over and over again, “I wish somebody would share the news,” while offering the observation, “I wish more corporate media decision-makers were Neil Young fans.”

And so ends this episode of David & Goliath, Good versus Evil that continues to remain relatively unknown in the general public’s conscious awareness.

Let’s see if we can change that, by taking action now on social media.

# These molecular data were left in the article by mistake
........
Entry 1:
A molecular structure, C26H30BFN2O3Tl. Source: the Open Molecules 2025 dataset; level of theory: ωB97M-V/def2-TZVPD.

- Largest force on an atom: 0.4 eV Å⁻¹
- HOMO-LUMO gap: 5.78 eV
- ΔE to the lowest compared entry with this formula, charge and spin: 9.2 kcal/mol
- Total charge: -1
- E: -44662.4937 eV

Structure (XYZ):
```
64
Properties=species:S:1:pos:R:3:lowdin_charge:R:1
Tl -0.8868 -0.1349 -1.3025 0.765
C 2.4511 -3.7829 0.7474 -0.060
C 1.7148 -2.9053 -0.2663 -0.379
C 0.9912 -3.7725 -1.2953 -0.075
C 2.6452 -1.9085 -0.9309 -0.150
C 3.6422 -2.3803 -1.7749 -0.059
C 4.4965 -1.5159 -2.4372 -0.104
C 4.3277 -0.1524 -2.2572 -0.060
C 3.3421 0.3619 -1.4217 -0.137
C 3.2561 1.8738 -1.2883 -0.371
C 1.9185 2.4562 -1.7437 -0.085
C 3.6050 2.3667 0.1161 -0.061
C 2.4917 -0.5222 -0.7234 -0.242
N 1.4588 -0.0362 0.0869 -0.027
C 1.6323 -0.1602 1.4165 -0.287
C 2.8346 -0.4816 2.0906 -0.058
C 2.9214 -0.5520 3.4747 -0.135
C 1.8230 -0.3081 4.2833 -0.144
C 0.6136 0.0147 3.6589 -0.048
C 0.5444 0.0810 2.2950 -0.222
F -0.6527 0.3897 1.7321 -0.001
H 1.7636 -4.4833 1.2275 0.074
H 2.9167 -3.1802 1.5261 0.065
H 3.2321 -4.3680 0.2536 0.071
H 0.9611 -2.3266 0.2718 0.115
H 1.6892 -4.4240 -1.8271 0.068
H 0.4775 -3.1593 -2.0373 0.059
H 0.2510 -4.4098 -0.8070 0.075
H 3.7494 -3.4505 -1.9188 0.101
H 5.2717 -1.8974 -3.0893 0.087
H 4.9778 0.5432 -2.7785 0.098
H 4.0258 2.2611 -1.9692 0.115
H 1.1174 2.1437 -1.0775 0.024
H 1.6660 2.1309 -2.7542 0.074
H 1.9721 3.5493 -1.7362 0.072
H 2.8860 2.0012 0.8461 0.065
H 3.5928 3.4600 0.1440 0.070
H 4.5968 2.0285 0.4230 0.077
H 3.7178 -0.6762 1.4932 0.109
H 3.8775 -0.8021 3.9225 0.088
H 1.8901 -0.3644 5.3613 0.077
H -0.2880 0.2113 4.2260 0.106
O -3.9038 0.7675 0.1862 0.058
B -3.0594 -0.3631 -0.0655 -0.544
O -3.8813 -1.5180 0.0801 0.084
C -5.1342 -1.0934 0.3991 -0.237
C -6.2645 -1.8439 0.6307 -0.004
C -7.4355 -1.1478 0.9355 -0.113
C -7.4509 0.2409 1.0013 -0.115
C -6.2962 0.9892 0.7672 -0.008
C -5.1483 0.2916 0.4646 -0.235
H -6.2355 -2.9233 0.5747 0.113
H -8.3474 -1.6995 1.1236 0.090
H -8.3740 0.7517 1.2432 0.090
H -6.2945 2.0700 0.8192 0.111
C -2.8890 2.9330 -2.1729 0.000
C -1.9901 3.2893 -1.0151 -0.573
N -2.0148 4.5879 -0.5987 0.160
O -1.2718 2.4662 -0.4857 -0.057
H -3.4290 3.7856 -2.5846 0.072
H -3.5947 2.1818 -1.8198 0.076
H -2.2719 2.4846 -2.9518 0.081
H -2.7210 5.2166 -0.9312 0.088
H -1.5073 4.8145 0.2398 0.108
```

---

Entry 2:
8 unconnected molecules or ions with the total composition C26H30BrCl28F8NO4 in a non-equilibrium geometry. Source: the Open Molecules 2025 dataset; level of theory: ωB97M-V/def2-TZVPD.

- Largest force on an atom: 1.5 eV Å⁻¹
- HOMO-LUMO gap: 9.83 eV
- SMILES string: COCCCCCCCN(CCOCC(F)(F)C(F)(F)C(F)(F)C(F)F)C(=O)OC[C@@H](C)Br.ClC(Cl)(Cl)Cl.ClC(Cl)(Cl)Cl.ClC(Cl)(Cl)Cl.ClC(Cl)(Cl)Cl.ClC(Cl)(Cl)Cl.ClC(Cl)(Cl)Cl.ClC(Cl)(Cl)Cl
- E: -479535.5808 eV

Structure (XYZ):
```
98
Properties=species:S:1:pos:R:3:lowdin_charge:R:1
C 4.1378 -1.2206 3.8127 -0.119
O 4.8572 -1.5893 2.6596 -0.189
C 5.1794 -0.5127 1.7898 -0.230
........
# So much for the molecular data

Jerome Irwin
Jerome Irwin is a Canadian author, who wrote The Wild Gentle Ones: A Turtle Island Odyssey. He once lived with the Crow Creek Sioux along the old Fort Thompson stretch of the Missouri River.